California Legal Course Urges Custody Attorneys To Push Puberty Blockers for Kids

(Scott Olson/Getty Images)
September 26, 2023

Custody attorneys for gender-confused adolescents should push parents into accepting puberty blockers because their children can't function properly without them, according to a continuing legal education course sponsored by a California bar association.

The training, titled "Gender and Transgender Issues in Custody Matters" and hosted by the Contra Costa County Bar Association, is aimed at the attorneys, known as minor's counsel, handling custody disputes in which one parent of a gender-confused child supports transitioning and the other does not. It was offered as part of a day-long course in October 2022 to satisfy California's legal training requirements. The video recording is one of 12 on-demand courses for minor's counsel offered by Attorney's Briefcase, Inc., a library of online options for attorneys who need to satisfy the state's education mandates.

"There may be a situation where this custody case comes up because the kid needs blockers right now, and so in that situation I would encourage you as minor's counsel to say, 'Hey, can we get [puberty] blockers started and then we can kind of sort things out?'" said Asaf Orr, who co-presented the training in his role as leader of the Transgender Youth Project. Since then, he has taken the role of assistant chief counsel at the California Civil Rights Department.

"Because you're not going to get an accurate read of the child's mental health and functioning without that," Orr added. "And your client is just going to deteriorate."

The training, video of which was obtained by the Washington Free Beacon, offers a front-row seat to how activists harness California family law to push gender transitions on children. Last week, Democratic governor Gavin Newsom vetoed a bill pushed by Democrats that would have compelled custody judges to favor "affirming" parents regardless of the age or mental state of the child.

The course looks more like advocacy than legal education, said Dan Morenoff, executive director of the American Civil Rights Project.

"When a speaker fails to peg-back their position to actual law and instead tells an audience solely what they would suggest doing as a matter of policy, it raises real questions about how that presentation got bar approval as a qualifying [continuing legal education] activity," Morenoff said. "The California bar has applicable standards and, unless I'm missing something, it's hard to see how straight advocacy for a particular substantive approach to a medical issue meets them."

Orr served as legal director at U.C. San Francisco's pediatric gender clinic, which transitions children as young as three years old and whose top leader claims there are an "infinite" number of genders. He is no longer at the clinic, according to his current employer, the California Civil Rights Department. Puberty blockers have not been federally approved for gender transitions; they halt sexual development and can lead to permanent sexual dysfunction while hindering bone growth. Their long-term effects on the brain aren't known, but some experts worry they may permanently change neurodevelopment. In the presentation, Orr characterized puberty blockers as "fully reversible" and a "pause button."

Orr's co-presenter on the training was Superior Court judge Joni Hiramoto, who has presided over California custody disputes involving gender-confused kids. In at least one case, Hiramoto permanently separated a father from his minor son because the father did not support medically transitioning him.

Hiramoto acknowledged in the presentation that she is personally invested in the topic because her own child came out as transgender at age 23.

When asked what judges should look for "in deciding whether and how much contact to allow between a minor who wishes to transition and a parent in opposition," Orr said they should evaluate that parent's willingness to change.

"I think it's really critical for the parent to recognize that their actions have been harmful, and if they're willing to change their behavior, I think it's really critical that [the children] have those bonds with their parents," Orr said. "But if a parent is refusing to act consistent with the standards of care and what the providers are recommending, then I think that's really difficult."

Hiramoto, meanwhile, said attorneys should urge judges to grant legal custody to the affirming parents.

"I think as minor's counsel what you have to do is put together a plan that makes sense for the judge, and you may want to say, 'OK, this is a pro-transition approach,'" Hiramoto said. "But I think it's better and a little bit more sophisticated to say, 'This is the parent who should be given the decisions in this area, because this is the parent who supports the approach that I think is in the child's best interest.'"

Attached: calculated crystals:
┌──
No. 1
The following is a computed powder XRD pattern of GdGeH2O4. It was derived from a crystal structure in OQMD, relaxed with PBE, using Cu Kα.

Largest 10 diffraction maxima, in order of falling intensity, 2θ from 10° to 80°:
28.7°, I 100, hkl 0 2 0; 23.2°, I 100, hkl 1 1 0; 35.2°, I 97, hkl 1 1 -2; 25.5°, I 95, hkl 1 1 -1; 30.0°, I 82, hkl 1 1 1; 18.3°, I 76, hkl 1 0 0; 45.8°, I 57, hkl 2 1 1; 33.7°, I 51, hkl 0 1 2; 20.8°, I 37, hkl 0 1 1; 47.4°, I 36, hkl 2 2 -1

Crystal structure
a b c (Å): 4.977 6.220 6.024
angles (deg): 90.00 102.60 90.00
Space group P2_1/m (No. 11)
Unique sites:
Gd 0.051 0.250 0.179 [2 per cell]
Ge 0.305 0.250 0.712 [2 per cell]
H 0.332 0.750 0.512 [2 per cell]
H 0.500 0.000 0.000 [2 per cell]
O 0.029 0.750 0.467 [2 per cell]
O 0.256 0.025 0.934 [4 per cell]
O 0.455 0.250 0.438 [2 per cell]

***

No. 2
The following is a computed powder XRD pattern of Cu5Ag4. It was derived from a crystal structure in OQMD, relaxed with PBE, using Cu Kα.

Largest 10 diffraction maxima, in order of falling intensity, 2θ from 10° to 80°:
40.2°, I 100, hkl 3 1 0; 40.4°, I 99, hkl 1 1 -3; 46.7°, I 32, hkl 4 0 -3; 46.9°, I 32, hkl 2 0 3; 47.2°, I 31, hkl 0 2 0; 68.5°, I 28, hkl 4 2 -3; 68.7°, I 19, hkl 2 2 3; 68.1°, I 9, hkl 6 0 0; 25.5°, I 5, hkl 1 1 0; 26.5°, I 3, hkl 1 1 -1

Crystal structure
a b c (Å): 8.717 3.853 8.212
angles (deg): 90.00 108.56 90.00
Space group C2/m (No. 12)
Unique sites:
Cu 0.000 0.000 0.000 [2 per cell]
Cu 0.001 0.000 0.326 [4 per cell]
Cu 0.163 0.500 0.220 [4 per cell]
Ag 0.160 0.500 0.889 [4 per cell]
Ag 0.166 0.500 0.556 [4 per cell]

***

No. 3
The following is a computed powder XRD pattern of Nd3CdHg5. It was derived from a crystal structure in OQMD, relaxed with PBE, using Cu Kα.

Largest 10 diffraction maxima, in order of falling intensity, 2θ from 10° to 80°:
33.8°, I 100, hkl 3 0 0; 60.4°, I 26, hkl 3 3 0; 48.5°, I 17, hkl 2 2 2; 67.6°, I 15, hkl 3 0 4; 71.0°, I 5, hkl 6 0 0; 44.0°, I 5, hkl 3 0 2; 56.7°, I 4, hkl 0 0 4; 27.5°, I 3, hkl 0 0 2; 32.8°, I 2, hkl 2 1 1; 23.7°, I 2, hkl 1 1 1

Crystal structure
a b c (Å): 9.2017 9.2017 6.4929
angles (deg): 90.00 90.00 120.00
Space group P6_3/mcm (No. 193)
Unique sites:
Nd 0.0000 0.3482 0.2500 [6 per cell]
Cd 0.0000 0.0000 0.0000 [2 per cell]
Hg 0.0000 0.3159 0.7500 [6 per cell]
Hg 0.3333 0.6667 0.0000 [4 per cell]

***

No. 4
The following is a computed powder XRD pattern of LaSm2AuSe6. It was derived from a crystal structure in OQMD, relaxed with PBE, using Cu Kα.

Largest 10 diffraction maxima, in order of falling intensity, 2θ from 10° to 80°:
35.4°, I 100, hkl -1 2 2; 21.6°, I 88, hkl 1 -1 0; 23.6°, I 81, hkl 0 1 -2; 25.7°, I 72, hkl 0 1 2; 24.9°, I 67, hkl 1 1 0; 36.9°, I 61, hkl 1 2 -2; 32.2°, I 57, hkl 1 -2 1; 38.0°, I 48, hkl 1 -2 2; 42.4°, I 47, hkl 0 3 -2; 40.5°, I 40, hkl 1 -3 0

Crystal structure
a b c (Å): 4.724 7.121 8.649
angles (deg): 93.50 102.76 97.86
Space group P-1 (No. 2)
Unique sites:
La 0.000 0.000 0.000 [1 per cell]
└──

This legal training isn't the first time Orr and Hiramoto have crossed paths professionally.

Hiramoto in 2020 adjudicated a child custody divorce case in which she barred Ted Hudacko, a Bay Area father, from seeing his then-16-year-old, trans-identifying son except in a supervised "therapeutic" setting with his son's consent. The reason was that Hudacko did not agree to the son's medical transition. Hiramoto's order stated that while Hudacko's son could pursue hormone therapy at the U.C. San Francisco gender clinic, he could not seek surgical procedures until he was 18 without both parents' consent or another order from the court.

Less than a year later, according to records obtained by the Free Beacon, Orr in his role as legal director for the U.C. San Francisco Child and Adolescent Gender Clinic helped Hudacko's minor son obtain a surgical implant of puberty blockers as well as estrogen. Hudacko objected to this intervention, citing studies that show a double dose of puberty blockers and cross-sex hormones sterilizes minors and can lead to long-term psychological harm and sexual impairment. Hudacko was ultimately overruled.

Orr and U.C. San Francisco's gender clinic did not respond to requests for comment. A representative for the California Civil Rights Department, where Orr works, referred the Free Beacon to the Contra Costa Bar Association, which did not respond to a request for comment. A spokesman for the court at which Hiramoto presides as judge said that neither the court nor Hiramoto "is ethically permitted to comment on this matter."

Orr was lead author on "Schools in Transition: A Guide to Supporting Transgender Students in K-12 Schools," produced by the Human Rights Campaign. The guide instructs teachers how to transition kids behind their parents' back and offers templates for a school "transition plan" for gender-confused students.